# Job
What is needed: return the lines further down up to the one that holds "0.362", that line included.
# Listing
# 1
Compound: MgSiO3
Source: the Materials Project database
Functional: PBE-GGA
Structure: relaxed

Magnetic moment, μB per cell: 0.0
DFT formation energy, eV per atom: -2.98
SG: Cmcm, No. 63

Unit cell a=4.802 b=4.802 c=6.730 alpha=90.00 beta=90.00 gamma=147.14
Fractional positions:
Mg  0.239  0.761  0.750
Mg  0.761  0.239  0.250
Si  0.500  0.500  0.000
Si  0.500  0.500  0.500
O  0.126  0.874  0.055
O  0.126  0.874  0.445
O  0.427  0.573  0.250
O  0.573  0.427  0.750
O  0.874  0.126  0.555
O  0.874  0.126  0.945

# 2
Compound: Mg3Si2O9
Source: the Materials Project database
Functional: PBE-GGA
Structure: relaxed

Magnetic moment, μB per cell: 16.0
Offset from the most stable computed form, eV per atom: 0.000
DFT formation energy, eV per atom: -2.46
SG: C2/c, No. 15

Unit cell a=5.384 b=5.384 c=28.733 alpha=91.81 beta=91.81 gamma=117.48
Fractional positions:
Mg  0.000  0.500  0.500
Mg  0.083  0.917  0.750
Mg  0.148  0.323  0.000
Mg  0.249  0.751  0.250
Mg  0.323  0.148  0.500
Mg  0.415  0.585  0.750
Mg  0.500  0.000  0.000
Mg  0.585  0.415  0.250
Mg  0.677  0.852  0.500
Mg  0.751  0.249  0.750
Mg  0.852  0.677  0.000
Mg  0.917  0.083  0.250
Si  0.026  0.198  0.596
Si  0.139  0.636  0.903
Si  0.198  0.026  0.096
Si  0.364  0.861  0.597
Si  0.636  0.139  0.403
Si  0.802  0.974  0.904
Si  0.861  0.364  0.097
Si  0.974  0.802  0.404
O  0.004  0.177  0.539
O  0.034  0.701  0.114
O  0.037  0.202  0.116
O  0.050  0.551  0.719
O  0.117  0.283  0.781
O  0.154  0.658  0.961
O  0.177  0.004  0.039
O  0.201  0.535  0.614
O  0.202  0.037  0.616
O  0.218  0.385  0.220
O  0.283  0.117  0.281
O  0.299  0.966  0.386
O  0.342  0.846  0.539
O  0.346  0.497  0.471
O  0.385  0.218  0.720
O  0.449  0.950  0.781
O  0.465  0.799  0.886
O  0.497  0.346  0.971
O  0.503  0.654  0.029
O  0.535  0.201  0.114
O  0.551  0.050  0.219
O  0.615  0.782  0.280
O  0.654  0.503  0.529
O  0.658  0.154  0.461
O  0.701  0.034  0.614
O  0.717  0.883  0.719
O  0.782  0.615  0.780
O  0.798  0.963  0.384
O  0.799  0.465  0.386
O  0.823  0.996  0.961
O  0.846  0.342  0.039
O  0.883  0.717  0.219
O  0.950  0.449  0.281
O  0.963  0.798  0.884
O  0.966  0.299  0.886
O  0.996  0.823  0.461

# 3
Compound: MgSiO3
Source: the Materials Project database
Functional: PBE-GGA
Structure: relaxed

Magnetic moment, μB per cell: 0.0
DFT formation energy, eV per atom: -2.94
SG: P2_1/c, No. 14

Unit cell a=6.420 b=15.171 c=5.130 alpha=90.00 beta=92.58 gamma=90.00
Fractional positions:
Mg  0.106  0.165  0.359
Mg  0.106  0.335  0.859
Mg  0.333  0.118  0.912
Mg  0.333  0.382  0.412
Mg  0.667  0.618  0.588
Mg  0.667  0.882  0.088
Mg  0.894  0.665  0.141
Mg  0.894  0.835  0.641
Si  0.103  0.638  0.664
Si  0.103  0.862  0.164
Si  0.374  0.593  0.204
Si  0.374  0.907  0.704
Si  0.626  0.093  0.296
Si  0.626  0.407  0.796
Si  0.897  0.138  0.836
Si  0.897  0.362  0.336
O  0.049  0.087  0.045
O  0.049  0.413  0.545
# Done
# 1
Compound: MgSiO3
Source: the Materials Project database
Functional: PBE-GGA
Structure: relaxed

Magnetic moment, μB per cell: 0.0
DFT formation energy, eV per atom: -2.98
SG: Cmcm, No. 63

Unit cell a=4.802 b=4.802 c=6.730 alpha=90.00 beta=90.00 gamma=147.14
Fractional positions:
Mg  0.239  0.761  0.750
Mg  0.761  0.239  0.250
Si  0.500  0.500  0.000
Si  0.500  0.500  0.500
O  0.126  0.874  0.055
O  0.126  0.874  0.445
O  0.427  0.573  0.250
O  0.573  0.427  0.750
O  0.874  0.126  0.555
O  0.874  0.126  0.945

# 2
Compound: Mg3Si2O9
Source: the Materials Project database
Functional: PBE-GGA
Structure: relaxed

Magnetic moment, μB per cell: 16.0
Offset from the most stable computed form, eV per atom: 0.000
DFT formation energy, eV per atom: -2.46
SG: C2/c, No. 15

Unit cell a=5.384 b=5.384 c=28.733 alpha=91.81 beta=91.81 gamma=117.48
Fractional positions:
Mg  0.000  0.500  0.500
Mg  0.083  0.917  0.750
Mg  0.148  0.323  0.000
Mg  0.249  0.751  0.250
Mg  0.323  0.148  0.500
Mg  0.415  0.585  0.750
Mg  0.500  0.000  0.000
Mg  0.585  0.415  0.250
Mg  0.677  0.852  0.500
Mg  0.751  0.249  0.750
Mg  0.852  0.677  0.000
Mg  0.917  0.083  0.250
Si  0.026  0.198  0.596
Si  0.139  0.636  0.903
Si  0.198  0.026  0.096
Si  0.364  0.861  0.597
Si  0.636  0.139  0.403
Si  0.802  0.974  0.904
Si  0.861  0.364  0.097
Si  0.974  0.802  0.404
O  0.004  0.177  0.539
O  0.034  0.701  0.114
O  0.037  0.202  0.116
O  0.050  0.551  0.719
O  0.117  0.283  0.781
O  0.154  0.658  0.961
O  0.177  0.004  0.039
O  0.201  0.535  0.614
O  0.202  0.037  0.616
O  0.218  0.385  0.220
O  0.283  0.117  0.281
O  0.299  0.966  0.386
O  0.342  0.846  0.539
O  0.346  0.497  0.471
O  0.385  0.218  0.720
O  0.449  0.950  0.781
O  0.465  0.799  0.886
O  0.497  0.346  0.971
O  0.503  0.654  0.029
O  0.535  0.201  0.114
O  0.551  0.050  0.219
O  0.615  0.782  0.280
O  0.654  0.503  0.529
O  0.658  0.154  0.461
O  0.701  0.034  0.614
O  0.717  0.883  0.719
O  0.782  0.615  0.780
O  0.798  0.963  0.384
O  0.799  0.465  0.386
O  0.823  0.996  0.961
O  0.846  0.342  0.039
O  0.883  0.717  0.219
O  0.950  0.449  0.281
O  0.963  0.798  0.884
O  0.966  0.299  0.886
O  0.996  0.823  0.461

# 3
Compound: MgSiO3
Source: the Materials Project database
Functional: PBE-GGA
Structure: relaxed

Magnetic moment, μB per cell: 0.0
DFT formation energy, eV per atom: -2.94
SG: P2_1/c, No. 14

Unit cell a=6.420 b=15.171 c=5.130 alpha=90.00 beta=92.58 gamma=90.00
Fractional positions:
Mg  0.106  0.165  0.359
Mg  0.106  0.335  0.859
Mg  0.333  0.118  0.912
Mg  0.333  0.382  0.412
Mg  0.667  0.618  0.588
Mg  0.667  0.882  0.088
Mg  0.894  0.665  0.141
Mg  0.894  0.835  0.641
Si  0.103  0.638  0.664
Si  0.103  0.862  0.164
Si  0.374  0.593  0.204
Si  0.374  0.907  0.704
Si  0.626  0.093  0.296
Si  0.626  0.407  0.796
Si  0.897  0.138  0.836
Si  0.897  0.362  0.336